
Explanatory Note

(This note is not part of the Regulations)

These Regulations amend the Producer Responsibility Obligations (Packaging Waste) Regulations 1997 (the “1997 Regulations”), which imposed on producers, and, on their behalf, scheme operators, obligations to recover and recycle specified tonnages of packaging waste, and related obligations, in order to attain the targets in Article 6(1) of Directive 94/62/EC (the “Directive”) (O.J. No. L 365, 31.12.94, p.10). A revision of the Directive which will set new targets to be met in 2008 is presently being negotiated and is expected to be agreed soon (see Com (2001) 729 final). In order to ensure that the absence of targets higher than those presently in the 1997 Regulations does not prejudice the United Kingdom’s ability to increase its rates of recovery and recycling sufficiently to meet the new Directive targets in 2008, these Regulations set interim domestic targets and recovery and recycling obligations which take account of the probable new targets which the United Kingdom is likely to have to meet in 2008.

Regulation 4 makes amendments to regulation 2 of the 1997 Regulations by way of inserting a number of new definitions and amending others.

Regulation 5 introduces a new obligation on scheme operators to take reasonable steps to discharge the recovery and recycling obligations which the members of the schemes would have had but for their membership of the schemes.

• Inserted here: crystal structures:
'''
K3SmY2Te6 | PBE-GGA | relaxed

Results
For the formation energy from raw total energies, the calculation gives -1.412 eV/atom. As for the crystal system: monoclinic. For the energy, the calculation gives -56.736 eV per formula unit.

a b c (Å): 7.835 13.571 8.652
angles (deg): 90.00 107.58 90.00
Space group C2/m (No. 12)
Symmetry-distinct sites (fractional):
K1 0.000 0.000 0.000 (multiplicity 2)
K2 0.000 0.334 0.000 (multiplicity 4)
Sm1 0.000 0.500 0.500 (multiplicity 2)
Y1 0.000 0.167 0.500 (multiplicity 4)
Te1 0.232 0.000 0.710 (multiplicity 4)
Te2 0.239 0.331 0.710 (multiplicity 8)
'''

Regulation 6 makes a number of amendments to Part III of the 1997 Regulations concerning registration, including in particular–

(a)a requirement for forms of application for registration to be signed by an approved person;

(b)provision for the appropriate Agency to include additional information requirements within the application form;

(c)requirements for producers above certain turnover and tonnage thresholds and for scheme operators to comply with the operational plans they are required to have submitted;

(d)alignment of the conditions of registration applying to producers and scheme operators;

(e)a change in the date by which revised operational plans are to be submitted to 31st January in each year;

(f)the introduction of new charges for applications which are submitted late, and for those which require to be corrected or resubmitted and for applications which relate to subsidiaries within groups;

(g)a requirement on scheme operators to submit monitoring plans relating to the steps they propose to take to ensure the accuracy of the information they receive from scheme members;

(h)new procedural requirements for obtaining the approval of the Scottish Ministers to a scheme;

(i)requirements for annual applications for registration to be made in place of annual renewals of registration; and

(j)requirements relating to the submission of information by scheme members to scheme operators.

Regulation 7 introduces rights of appeal for producers and for reprocessors and exporters.

Regulation 8 inserts a new Part IVA into the 1997 Regulations in order to require the accreditation of reprocessors and exporters to issue packaging waste recovery notes and packaging waste export recovery notes.

Regulation 9 amends Part V of the 1997 Regulations in order to require additional records and returns to be submitted to the appropriate Agency by producers and scheme operators.

Regulation 10 amends Part VI of the 1997 Regulations in order to ensure that the monitoring obligations which apply to the appropriate Agency include monitoring the new obligations placed on scheme operators, and accredited reprocessors and exporters; and to increase the scope of the Agency’s power to serve notices on persons requiring the submission of information to the Agency.

Regulation 11 amends Part X of the 1997 Regulations in order to introduce new offences for which scheme operators, scheme members, reprocessors and exporters may be liable.

Regulation 12 makes minor consequential amendments to Schedule 1 of the 1997 Regulations.

Regulation 13 amends Schedule 2 of the 1997 Regulations in order to apply new recovery and recycling targets reflecting the anticipated revisions to the Directive targets.

Regulation 14 inserts a new Schedule 2A into the 1997 Regulations setting out the conditions of accreditation referred to in the new regulation 21C inserted by regulation 8 of these Regulations.

Regulation 15 amends the list of recovery operations set out in Schedule 3 of the 1997 Regulations in order to reflect amendments made by Commission Decision 96/350/EEC.

Regulation 16 amends Schedule 4 of the 1997 Regulations in order to amplify the information required to be contained in the operational plans which producers and scheme operators are required to submit to the appropriate Agency.

Regulation 17 amends Schedule 5 of the 1997 Regulations in order to make provision for producer, reprocessor and exporter appeals and exporter appeals and reduce the period in which appeals may be made from 6 months to 2 months.

Regulation 18 amends Schedule 6 of the 1997 Regulations in order to amplify the information which must be contained in the certificate of compliance required by regulation 23 of the 1997 Regulations.

Regulation 19 amends Schedule 7 of the 1997 Regulations in order to require information in relation to accredited reprocessors and exporters to be placed on the public register.

Regulation 20 amends Schedule 8 of the 1997 Regulations in order to simplify the arrangements for mid-year changes affecting groups of companies who have obligations under the Regulations.

Regulation 21 removes Schedule 10 which set out the recovery and recycling obligations of the United Kingdom under the Directive.

These Regulations were notified in draft to the European Commission in accordance with Article 8 of the European Parliament and Council Directive 98/34/EC laying down a procedure for the provision of information in the field of technical standards and regulations and of rules on information society services (O.J. No. L 204, 21.7.1998, p.37), as amended by the European Parliament and Council Directive 98/48/EC (O.J. No. L 217, 5.8.1998, p.18).

A Regulatory Impact Assessment in relation to these Regulations has been placed in the library of the Scottish Parliament and copies can be obtained from the SEPA Sponsorship and Waste Unit. Scottish Executive Environment and Rural Affairs Department (SEERAD), Victoria Quay, Leith, EH6 6QQ.